Religions Quotes

Text Quotes
Do not worry in the least about yourself, leave all worry to God this appears to be the commandment in all religions. (Religions Quotes)
The sovereignty of scriptures of all religions must come to an end if we want to have a united integrated modern India. (Religions Quotes)
I believe what I practice has to do with something deeper than religion, that it embodies all religions, including Judaism. And Christianity. And Islam. (Religions Quotes)
I think there are fundamentalists all over the world. I think all religions have fundamentalists who have different interpretations of scriptures that are very vague. (Religions Quotes)
Reading, reflection and time have convinced me that the interests of society require the observation of those moral precepts only in which all religions agree. (Religions Quotes)
In the end, it is conscience that will have the last word, stronger than all strategies, all ideologies and also all religions.... Peace is still possible... (Religions Quotes)
I think the real understanding comes when we recognize our humanity in each other. That’s not just between blacks and whites. That’s between all religions as well. (Religions Quotes)
We need to agree on common values for all religions as soon as possible, a kind of secular Ten Commandments on which we will build the world of tomorrow. (Religions Quotes)
Forming a new world religion is difficult and not particularly desirable. However, in that love is essential to all religions, one could speak of the universal religion of love. (Religions Quotes)
People sometimes ask me , what religion are you ? I always answer by saying, ‘’i am a little part of all religions and and a big part of no religion (Religions Quotes)
My religious reading has long been confined to the moral branch of religion, which is the same in all religions; while in that branch which consists of dogmas, all differ[. (Religions Quotes)
I was born Jewish, and I consider that my religion. But I’ve studied all religions, and as you learn more, you really learn that everyone’s praying to the same God. (Religions Quotes)
I concluded that all religions had the same foundation - a belief in the supernatural - a power above nature that man could influence by worship - by sacrifice and prayer. (Religions Quotes)
A residual sea of symbols which is shared by all mankind, usually accessed through dreams or altered states, and from which cultures draw images on which to found their religions. (Religions Quotes)
We’re a Muslim family, but we’re also very cultured and we have a mixture of different religions. For example, my brother-in-law is Catholic, and my sister converted and my nephews are baptized. I have an uncle who just graduated and currently he’s a priest. (Religions Quotes)
The title ‘Now He Sings, Now He Sobs’ comes from ‘I Ching,’ an ancient Chinese book that I was into in the 60s when I was studying different philosophies and religions. (Religions Quotes)
The Christian religion is, above all the religions that ever prevailed or existed in ancient or modern times, the religion of wisdom, virtue, equity and humanity. (Religions Quotes)
Angels, demons, spirits, wizards, gods and witches have peppered folk religions since mankind first started telling stories. (Religions Quotes)
All great religions have rightly regarded kama as the arch-enemy of man, anger or hatred coming only in the second place. (Religions Quotes)
Religions in general have to rediscover their roots. In Hinduism and the Koran, animals are described as equals. If you walk into a cathedral and look at the decorations of early Christianity, there are vines, animals, creatures and birds thriving all over the stonework. (Religions Quotes)
I said I didn’t respect religion... and anyone who believes in fairy tales to answer questions that we can’t answer... So I don’t respect our religions either. But I do believe it is a clash of civilizations, absolutely, between the Islamic world and the Western world. It has been going on for 1,000 years. (Religions Quotes)
I have many friends of other religions, and I am satisfied that they are very conscientious, good people who are trying to do good. I appreciate that. (Religions Quotes)
I think we are evolving rapidly into one world culture. It’s certainly one world economy. With billions of people online, I think we’ll appreciate the wisdom in many different traditions as we learn more about them. People were very isolated and didn’t know anything about other religions 100 years ago. (Religions Quotes)
All religions, arts and sciences are branches of the same tree. All these aspirations are directed toward ennobling man’s life, lifting it from the sphere of mere physical existence and leading the individual towards freedom. (Religions Quotes)
I don’t think people by nature are extremists. You will never find a population of extremists. Extremists have existed throughout the centuries on all religions. And what happens is, extremists start to have more leverage when the situation is bad. (Religions Quotes)
• What comes next are calculated crystals, not part of the article:
........
No. 1
DFT (PBE with a Hubbard U) results for crystalline NiH7C3NO6 at its relaxed geometry.

Calculated values
- Energy relative to the elements: -100.71 kJ per mole of atoms
- Space-group type: C2, No. 5

abc: 7.3923 7.4712 8.0216
angles: 91.03 90.00 60.35
Last column: nearest neighbours and their distance in Å.
Sites, in units of the cell vectors:
Ni 0.6677 0.6662 0.2505  6 O 2.07-2.15
Ni 0.3339 0.3338 0.7495  6 O 2.07-2.15
H 0.5885 0.4103 0.4982  1 C 1.10
H 0.4101 0.0000 0.5000  1 C 1.10
H 0.9989 0.5897 0.5018  1 C 1.10
H 0.4090 0.5902 0.9993  1 C 1.10
H 0.5866 0.0000 0.0000  1 C 1.10
H 0.9992 0.4098 0.0007  1 C 1.10
H 0.9818 0.9127 0.3456  1 N 1.03
H 0.9344 0.1490 0.2876  1 N 1.04
H 0.8945 0.0873 0.6544  1 N 1.03
H 0.0834 0.8510 0.7124  1 N 1.04
H 0.8909 0.0207 0.8453  1 N 1.03
H 0.0850 0.0654 0.7879  1 N 1.04
H 0.9116 0.9793 0.1547  1 N 1.03
H 0.1503 0.9346 0.2121  1 N 1.04
C 0.4421 0.5594 0.5014  1 H 1.10
C 0.5596 0.0000 0.5000  1 H 1.10
C 0.0015 0.4406 0.4986  1 H 1.10
C 0.5572 0.4430 0.0000  1 H 1.10
C 0.4372 0.0000 0.0000  1 H 1.10
C 0.0002 0.5570 0.0000  1 H 1.10
N 0.9957 0.9952 0.2501  4 H 1.03-1.04
N 0.9910 0.0048 0.7499  4 H 1.03-1.04
O 0.4222 0.6950 0.3990  1 C 1.27
O 0.7010 0.8800 0.3981  1 C 1.27
O 0.8874 0.4164 0.3919  1 C 1.27
O 0.1172 0.3050 0.6010  1 C 1.27
O 0.5811 0.1200 0.6019  1 C 1.27
O 0.3038 0.5836 0.6081  1 C 1.27
O 0.5794 0.3016 0.8970  1 C 1.27
O 0.3020 0.1113 0.8939  1 C 1.27
O 0.1188 0.5768 0.8973  1 C 1.27
O 0.8810 0.6984 0.1030  1 C 1.27
O 0.4133 0.8887 0.1061  1 C 1.27
O 0.6956 0.4232 0.1027  1 C 1.27

***

No. 2
DFT (PBE with a Hubbard U) results for crystalline NiH3C5NO6 at its relaxed geometry.

Calculated values
- Energy relative to the elements: -48.36 kJ per mole of atoms
- Space-group type: Cc, No. 9

abc: 7.8355 7.8355 8.6129
angles: 63.01 63.01 60.01
Last column: nearest neighbours and their distance in Å.
Sites, in units of the cell vectors:
Ni 0.0007 0.5005 0.0000  6 O 2.03-2.04
Ni 0.5005 0.0007 0.5000  6 O 2.03-2.04
H 0.3506 0.2503 0.7500  1 C 1.10
H 0.7513 0.6527 0.7483  1 C 1.10
H 0.1500 0.8501 0.7516  1 C 1.10
H 0.2503 0.3506 0.2500  1 C 1.10
H 0.8501 0.1500 0.2516  1 C 1.10
H 0.6527 0.7513 0.2483  1 C 1.10
C 0.2100 0.2501 0.7501  1 H 1.10
C 0.7504 0.7934 0.7495  1 H 1.10
C 0.2908 0.7094 0.7502  1 H 1.10
C 0.2501 0.2100 0.2501  1 H 1.10
C 0.7094 0.2908 0.2502  1 H 1.10
C 0.7934 0.7504 0.2495  1 H 1.10
C 0.6959 0.2151 0.9197  1 N 1.24
C 0.2151 0.6959 0.4197  1 N 1.24
C 0.3322 0.8036 0.0804  1 N 1.25
C 0.8036 0.3322 0.5804  1 N 1.25
N 0.7499 0.2738 0.7502  2 C 1.24-1.25
N 0.2738 0.7499 0.2502  2 C 1.24-1.25
O 0.0352 0.3450 0.8456  1 C 1.27
O 0.8455 0.7771 0.8450  1 C 1.27
O 0.2759 0.5347 0.8451  1 C 1.27
O 0.3450 0.0352 0.3456  1 C 1.27
O 0.5347 0.2759 0.3451  1 C 1.27
O 0.7771 0.8455 0.3450  1 C 1.27
O 0.9678 0.6545 0.1552  1 C 1.27
O 0.1551 0.2244 0.1555  1 C 1.27
O 0.7254 0.4652 0.1535  1 C 1.27
O 0.6545 0.9678 0.6552  1 C 1.27
O 0.4652 0.7254 0.6535  1 C 1.27
O 0.2244 0.1551 0.6555  1 C 1.27
........
When I was young, I used to go to Baha’i camp, and they taught me a lot about the equality of religions. (Religions Quotes)
They [muslims] are chopping off heads in Syria. Christianity is under siege. I’m Protestant, Presbyterian, and I’m proud of it. Other religions frankly are banding together, we need to band together. (Religions Quotes)
All religions must be made child-proof. Our teachers’ unions have done good work in this field, K through 12. Delaying first communions and bar mitzvahs until age 21 would be another positive step. (Religions Quotes)
I guess if people all followed the basic principles of their own religions, they would love everybody instead of hating half the world. (Religions Quotes)
Do not be victim of life-negative religions. Be respectful to life, love and beauty. (Religions Quotes)